middle age crisis in womenHave you heard about the midlife crisis in men?That's all. But, as it became known, women are also susceptible to this psychological disease. Moreover, the midlife crisis in women has been noticed for quite a long time. It's just that before the advent of the feminist era, it was not customary to talk about it. Not fashionable, if you like. And all because women were more dependent on men, family, public opinion. So they suffered in silence. By the way, our grandmothers had a crisis a little earlier than now. It's all due to the cotton dresses from the department store, shapeless shoes, hair burnt by chemicals and the inaccessibility of cosmetology. Put all these concepts together, and you will understand what we are talking about. Or look at the photographs of those years: the textile industry, it would seem, did everything possible and impossible to hide the femininity of the forms of Soviet women. Of course, there were exceptions. But if you compare an ordinary woman after forty at that time and our contemporary, the difference will be obvious. It's a good thing that the party helped to save crumbling marriages (and male crises existed in the Soviet Union too). Why put yourself in order if you can just complain to higher authorities? And they will certainly return the errant husband to the bosom of the family. Today, the fair sex is more independent and self-confident. But it is still not immune to disappointments and psychological problems. So, the midlife crisis usually occurs between thirty-five and five years. Note that for women this period begins five years earlier than for men, since youth, by common consent, ends earlier. If a forty-year-old man has every chance of starting a family after a divorce, then his peers have a hard time. Moreover, the crisis itself begins in the subconscious of the woman. In the understanding that she is getting old. Outwardly, a woman can remain very attractive, but television programs, glossy magazines will show her the young faces of sixteen-year-old girls who still have their whole lives ahead of them. But let's not get distracted. Let's talk about the signs of a midlife crisis in women. But we won't just describe them, we'll offer options for getting out of the current situation.

"I have aged ..."

It has been observed that the first symptoms of a midlife crisisage in women manifests itself with obvious signs of aging of the body. At the moment when the state of the soul does not correspond to the appearance. The woman still feels young, capable of desperate actions, crazy feelings, and the mirror indifferently shows early wrinkles, a plump waist and cellulite on the hips. Many bitterly say: “I don’t recognize myself in the mirror! Who is this terrible monster? Anyone, but not me.” However, day after day the reflection changes only for the worse. And you need to come to terms with this. Solution: It all depends on how much the woman has changed over the past fifteen years. And who exactly is next to her. With an attentive and responsive husband, she only needs to change her hairstyle, update her wardrobe and sign up for a swimming pool. If the other half aggravates the suffering of the wife, the woman decides on extreme measures: from a young lover to a scalpel of a plastic surgeon. An actively rejuvenating woman is not as common a phenomenon as a rejuvenating man. For some reason, society forgives men more readily than women for short hair and tight jeans. And in vain. After all, looking younger than you are is wonderful. But don’t make it the only goal, for the achievement of which all means are good. Otherwise, you can miss a number of very important moments in your life, for example, growing up children or respect for yourself at any age.symptoms of a middle-aged crisis in women

Children grew up

This type of crisis is very common among women.marriage, when the children have already grown up, and mutual understanding with the husband was irretrievably lost during the periods of diapers, undershirts, kindergartens, schools and drawing clubs. Sometimes a woman begins to take care of the children so enthusiastically that she completely forgets that her son or daughter will sooner or later start their own family, and she will be left alone with her husband. With the same one with whom she has not had a heart-to-heart talk for a long time. As a result, the children grow up, and the mother feels lonely and believes that her life has not been lived the way she would like. And even attempts to get closer to her husband show that next to her is not the same person she once married. The person has changed, and the interests that once brought the couple together are now irrelevant. Solution: Some women in this case begin to actively pursue a career. But most often - they give birth to a child. By doing this, they not only fill the spiritual emptiness, but also prolong, in their opinion, their own youth. In general, this problem is one of those that is easier to prevent than to solve. In extreme cases, visiting a family psychologist can greatly contribute to rapprochement.

# ErThZn3 (PBE, relaxed)
data_ErThZn3
_cell_length_a 3.5696
_cell_length_b 27.1637
_cell_length_c 4.5404
_cell_angle_alpha 90.00
_cell_angle_beta 90.00
_cell_angle_gamma 90.00
_symmetry_space_group_name_H-M 'C m c m'
_symmetry_Int_Tables_number 63
_symmetry_space_group_name_Hall '-C 2c 2'
loop_
_atom_site_label
_atom_site_type_symbol
_atom_site_fract_x
_atom_site_fract_y
_atom_site_fract_z
_atom_site_occupancy
Er1 Er 0.0000 0.2097 0.2500 1
Th1 Th 0.0000 0.0741 0.7500 1
Zn1 Zn 0.0000 0.3243 0.2500 1
Zn2 Zn 0.0000 0.3782 0.7500 1
Zn3 Zn 0.0000 0.4761 0.7500 1
# Calculated formation energy, meV per atom: -286
# Magnetic moment, μB per formula unit: 0.000
# Volume, Å³/f.u.: 110.1



# FeTe (PBE, relaxed)
data_FeTe
_cell_length_a 3.2613
_cell_length_b 3.2613
_cell_length_c 3.2613
_cell_angle_alpha 90.00
_cell_angle_beta 90.00
_cell_angle_gamma 90.00
_symmetry_space_group_name_H-M 'P m -3 m'
_symmetry_Int_Tables_number 221
_symmetry_space_group_name_Hall '-P 4 2 3'
loop_
_atom_site_label
_atom_site_type_symbol
_atom_site_fract_x
_atom_site_fract_y
_atom_site_fract_z
_atom_site_occupancy
Fe1 Fe 0.0000 0.0000 0.0000 1
Te1 Te 0.5000 0.5000 0.5000 1
# Raw formation energy, kJ/mol of atoms: 44.3
# Magnetic moment, μB per formula unit: 1.769
# Volume, Å³/f.u.: 34.7

----------

This record from Alexandria via LeMat-Bulk describes a geometry-optimized Ag3Sb structure. The functional is PBE.

Values from the calculation:
Magnetization (μB/f.u.): 0.0
Total energy (eV per atom): -3.09
Density of states at the Fermi level (states/eV per atom): 0.231
Formation energy without anion corrections (eV per atom): 0.0825

a b c (Å): 3.201 9.685 5.214
angles (deg): 90.00 90.00 90.00
Space group Imm2 (No. 44)
Asymmetric unit:
Ag  0.000  0.000  0.000 (multiplicity 2)
Ag  0.000  0.255  0.664 (multiplicity 4)
Sb  0.000  0.500  0.003 (multiplicity 2)

This record from Alexandria via LeMat-Bulk describes a geometry-optimized AgSb5 structure. The functional is PBE.

Values from the calculation:
Magnetization (μB/f.u.): 0.0
Total energy (eV per atom): -3.82
Density of states at the Fermi level (states/eV per atom): 0.374
Offset from the most stable computed form (kJ/mol of atoms): 0.0
Formation energy without anion corrections (eV per atom): 0.0878

a b c (Å): 6.086 4.344 12.876
angles (deg): 90.00 90.00 90.00
Space group Amm2 (No. 38)
Asymmetric unit:
Ag  0.000  0.000  0.000 (multiplicity 2)
Sb  0.000  0.000  0.330 (multiplicity 2)
Sb  0.000  0.000  0.670 (multiplicity 2)
Sb  0.500  0.000  0.000 (multiplicity 2)
Sb  0.500  0.000  0.332 (multiplicity 2)
Sb  0.500  0.000  0.668 (multiplicity 2)

This record from Alexandria via LeMat-Bulk describes a geometry-optimized AgSb5 structure. The functional is PBE.

Values from the calculation:
Magnetization (μB/f.u.): 0.0
Total energy (eV per atom): -3.78
Density of states at the Fermi level (states/eV per atom): 0.529
Offset from the most stable computed form (kJ/mol of atoms): 4.0

Choosing a career instead of children

Women who have been busy all their livesbuilding a successful career, also suffer from a midlife crisis. They begin to understand that in the pursuit of success, they have missed the quiet moments of family happiness and the joy of motherhood. Iron ladies begin to stare at babies in strollers. The maternal instinct begins to play in them. And this is probably the mildest form of midlife crisis in women. Solution: Women either hastily find a husband to create a full-fledged family and have a child, or give birth for themselves and finally fulfill the most important function assigned to them by nature. It must be admitted that such women eventually become good mothers. They have become accustomed to great responsibility over many years of building a business, and they approach raising a child no less seriously.mid-life crisis in women in marriage

Change of world view

Often, a midlife crisis is associated withre-evaluation of the life lived. Everything seems to be fine. The husband does not drink, does not smoke. The children study, work and have not turned into alcoholics and criminals. The family is well-off. The job is stable, from nine in the morning until five in the evening. On weekends - a dacha. In the summer - trips to the sea. But something is still wrong. Suddenly a little maximalist wakes up in the woman - her reflection of herself at the age of seventeen. When it seemed that the whole world is at your feet. And if you marry, then only to a prince. And to live exclusively in a castle on the seashore. And the children are solid geniuses. But in the end it turns out that the prince has a habit of walking around the house in his underwear, has a belly and never puts the toilet seat down. The luxurious castle, ironically, turned into a standard Khrushchev-era building, where the ceilings leak in the spring and fall (it is the top floor, after all), and the children ... what are children? They turned out to be ordinary children. Not Surikovs, not Einsteins, not Abramovichs. They live on a scholarship, save money for a smartphone, quarrel with their parents. Just like everyone else. Solution: All mature individuals inevitably go through this stage. It is impossible to live half of your life and not draw intermediate conclusions. Firstly, this way you can really evaluate what you have done, and secondly, understand where to move on. Well, and the maximalist will have to be calmed down. Most likely, if you really wanted to live in a palace with a prince, you would already be living there, but would you be happier?


The most difficult manifestation of the midlife crisisage in a woman can be called the age at which she wants absolutely nothing. She is not interested in personal relationships, children, or a career. One fine day, a woman begins to think that her life has gone along with her youth, and she begins to doomedly go with the flow. There is no obvious reason for the crisis here. It is hidden somewhere in the depths of the subconscious, which causes even more discomfort. Usually, this is how the midlife crisis proceeds in secretive and taciturn women who believe that their best friend is a pillow and do not have kindred spirits. They have no one to cry on their fate to. So they suffer in silence. Solution: In such cases, it is very difficult to help a woman. Moreover, the family, as a rule, perceives the symptoms of the disease as nonsense, which further aggravates the problem. And it is not about the callousness of relatives. Remember the woman's life credo: no loved ones. Therefore, she has a cool relationship with her family. If the husband and wife are the same age, then the midlife crisis coincides with the male one, and the couple has every chance of breaking up. While the wife is looking at the ceiling with resignation, her husband begins to actively try to look younger. He buys himself a fancy motorcycle, and eventually realizes that he does not want to see a plump woman with a dull look next to him. Oddly enough, divorce allows a woman to shake herself up and continue living. However, we would advise not to solve the problem so radically and not to wait until the collapse of the family contributes to the end of the crisis in the woman. It is best to contact a psychologist or psychotherapist in time. Finally, I would like to say to all the women who recognized themselves in this article: be strong. You survived childbirth, long periods of breastfeeding, diapers and nights of lack of sleep (all mothers will understand us now, because what is considered a woman's duty is sometimes very difficult to survive). You coped with family problems and minor life troubles. So won't you overcome some kind of midlife crisis? After all, as Katya from the film "Moscow Does Not Believe in Tears" says, life only begins after forty. So let's start it with a smile! We recommend reading:

